Equipsme HR Guide – neurodiversity

Equipsme HR Guide neurodiversity

Neurodiversity refers to the way some people’s brains work differently to others, and is a blanket term for a range of different thinking, learning and processing styles, including autism, dyslexia, ADHD, dyspraxia, and dyscalculia.

There’s increasing recognition that neurodivergence is something that impacts people at work, and presents both challenges and opportunities for businesses. Being a neurodivergent-friendly workplace can help improve engagement, increase productivity, and harness diverse talent for your business.

Neurodiversity in numbers

Here the page breaks off for calculated crystals:
____________
# VCrP2H2O10

VCrP2H2O10 after structural relaxation (PBE with a Hubbard U, the Materials Project database).

The uncorrected energy is -6.966 eV/atom. For the energy of formation, the calculation gives -2.262 eV per atom.

Cell lengths 6.7466, 7.3868, 8.0005 Å; angles 86.56, 88.52, 63.07 degrees
Last column: nearest neighbours and their distance in Å.
Element x y z (fractional)
1 V 0.2499 0.9997 0.2500  6 O 1.87-1.93
2 V 0.7501 0.0003 0.7500  6 O 1.87-1.93
3 Cr 0.2499 0.4998 0.2500  6 O 1.98-2.06
4 Cr 0.7501 0.5002 0.7500  6 O 1.98-2.06
5 P 0.2418 0.7190 0.5805  4 O 1.51-1.60
6 P 0.2583 0.2810 0.9197  4 O 1.51-1.60
7 P 0.7417 0.7190 0.0803  4 O 1.51-1.60
8 P 0.7582 0.2810 0.4195  4 O 1.51-1.60
9 H 0.0716 0.8354 0.0876  1 O 0.99
10 H 0.4282 0.1638 0.4126  1 O 0.99
11 H 0.5718 0.8362 0.5874  1 O 0.99
12 H 0.9284 0.1646 0.9124  1 O 0.99
13 O 0.0517 0.8617 0.6976  1 P 1.57
14 O 0.0616 0.4229 0.8119  1 P 1.51
15 O 0.1480 0.6150 0.4717  1 P 1.51
16 O 0.1851 0.1355 0.0322  1 P 1.60
17 O 0.1997 0.7851 0.1654  1 H 0.99
18 O 0.3002 0.2137 0.3351  1 H 0.99
19 O 0.3149 0.8643 0.4677  1 P 1.60
20 O 0.3520 0.3848 0.0286  1 P 1.51
21 O 0.4385 0.5772 0.6881  1 P 1.51
22 O 0.4483 0.1383 0.8023  1 P 1.57
23 O 0.5517 0.8617 0.1977  1 P 1.57
24 O 0.5615 0.4228 0.3119  1 P 1.51
25 O 0.6480 0.6152 0.9714  1 P 1.51
26 O 0.6851 0.1357 0.5323  1 P 1.60
27 O 0.6998 0.7863 0.6649  1 H 0.99
28 O 0.8003 0.2149 0.8346  1 H 0.99
29 O 0.8149 0.8645 0.9678  1 P 1.60
30 O 0.8520 0.3850 0.5283  1 P 1.51
31 O 0.9384 0.5771 0.1881  1 P 1.51
32 O 0.9483 0.1383 0.3024  1 P 1.57



# CaCo2Te3Cl2O8

CaCo2Te3Cl2O8 after structural relaxation (PBE with a Hubbard U, the Materials Project database).

The uncorrected energy is -5.432 eV/atom. For the energy of formation, the calculation gives -1.672 eV per atom.

Cell lengths 6.5941, 9.2915, 19.1702 Å; angles 90.00, 106.39, 90.00 degrees
Last column: nearest neighbours and their distance in Å.
Element x y z (fractional)
1 Ca 0.0097 0.1137 0.2690  4 O 2.34-2.38
2 Ca 0.0097 0.3863 0.7690  4 O 2.34-2.38
3 Ca 0.9903 0.6137 0.2310  4 O 2.34-2.38
4 Ca 0.9903 0.8863 0.7310  4 O 2.34-2.38
5 Co 0.3083 0.5424 0.6800  5 O 2.04-2.21
6 Co 0.3083 0.9576 0.1800  5 O 2.04-2.21
7 Co 0.4361 0.7438 0.8232  5 O 2.03-2.19
8 Co 0.4361 0.7562 0.3232  5 O 2.03-2.19
9 Co 0.5639 0.2438 0.6768  5 O 2.03-2.19
10 Co 0.5639 0.2562 0.1768  5 O 2.03-2.19
11 Co 0.6917 0.0424 0.8200  5 O 2.04-2.21
12 Co 0.6917 0.4576 0.3200  5 O 2.04-2.21
13 Te 0.0425 0.2037 0.6086  3 O 1.90-1.94
14 Te 0.0425 0.2963 0.1086  3 O 1.90-1.94
15 Te 0.2770 0.0809 0.8883  3 O 1.90-1.94
16 Te 0.2770 0.4191 0.3883  3 O 1.90-1.94
17 Te 0.4084 0.6080 0.1389  2 O 1.91-1.92
18 Te 0.4084 0.8920 0.6389  2 O 1.91-1.92
19 Te 0.5916 0.1080 0.3611  2 O 1.91-1.92
20 Te 0.5916 0.3920 0.8611  2 O 1.91-1.92
21 Te 0.7230 0.5809 0.6117  3 O 1.90-1.94
22 Te 0.7230 0.9191 0.1117  3 O 1.90-1.94
23 Te 0.9575 0.7037 0.8914  3 O 1.90-1.94
24 Te 0.9575 0.7963 0.3914  3 O 1.90-1.94
25 Cl 0.2435 0.6094 0.5495  1 Co 2.50
____________
Back to the page:

There are definitely neurodivergent people already in your organisation:

Neurodivergence does not fit neatly into a box – conditions can overlap and everyone is different, and will have different talents and different needs:

  • 80% of autistic people also have ADHD (5)
  • 40% of people with ADHD also have dyslexia (6)

Being different is not always an advantage in the workplace, and people whose brains are wired differently can face discrimination. They also have to expend more energy fitting in with those around them, or ‘masking’, which can contribute to mental ill health:

  • 52% of people with dyslexia have faced discrimination (7)
  • Only 32% of autistic adults are in paid work (8)
  • 70% of neurodivergent employees experience mental health issues (9)

When neurodivergent talents are fostered in the workplace, the results are more diverse and more effective teams.

  • 30% - how much more productive teams are when they DO include neurodiverse members (10)
  • 84%of dyslexic people are above average in reasoning, understanding patterns, evaluating possibilities and making decisions (11)

Harnessing those strengths and supporting neurodiverse employees is now becoming a priority for many businesses.

  • 41% of organisations intend to strengthen neurodiversity support in the coming months (12)
  • 52% believe wellbeing support for neurodiversity helps improve employee engagement (13)
  • 75% already offer or plan to focus on HR policies, such as flexibility in job design to meet neurodivergent needs (14)

What does the law say about neurodiversity?

The Equality Act 2010 protects employees from discrimination at work, if they have a protected characteristic, including some kinds of neurodiversity.

Discrimination can be direct, indirect, or perceived, and organisations are required to make reasonable adjustments to support neurodiverse job applicants and employees. This means ensuring they can overcome any substantial disadvantages they may have doing their jobs and progressing in work. 

What can businesses do to support neurodivergent people?

1. Take a person-centred approach

All kinds of neurodiversity exist on a spectrum, and the experience of one person can be very different to another. It’s really important to listen to individuals about what they want and need to be able to do the job you want and need them to do.

2. Invest in training and awareness

The key to ensuring your business is neurodivergent-friendly is awareness training, particularly for line managers. There are courses and coaching available to help managers understand neurodivergence, and provide practical strategies that can be applied in real life situations.

It’s also important to get c-suite support, and incredibly powerful to be able to share stories and experiences from the senior management team. A senior champion could also set up a working group of neurodiverse colleagues to advise the organisation on its neurodiversity policies.

3. Update your Equality and Diversity policies

If your Equality and Diversity policies don’t specifically include neurodiversity, it’s time for an update. That means looking closely at how all of your workplace policies impact everyone, and if you’re doing enough to give everyone an even playing field.

[Attached: crystal structures]
........
one:
# Mn2FeO6 PBE+U optimized geometry
data_Mn2FeO6
_symmetry_space_group_name_H-M 'P 1'
_symmetry_Int_Tables_number 1
_symmetry_space_group_name_Hall 'P 1'
_cell_length_a 5.864
_cell_length_b 5.910
_cell_length_c 14.298
_cell_angle_alpha 89.29
_cell_angle_beta 89.45
_cell_angle_gamma 60.62
loop_
_atom_site_label
_atom_site_type_symbol
_atom_site_fract_x
_atom_site_fract_y
_atom_site_fract_z
_atom_site_occupancy
O1 O 0.341 0.334 0.931 1
Fe1 Fe 0.500 0.000 0.000 1
O2 O 0.144 0.711 0.589 1
Mn1 Mn 0.667 0.166 0.334 1
O3 O 0.802 0.380 0.919 1
O4 O 0.800 0.825 0.918 1
O5 O 0.856 0.289 0.411 1
O6 O 0.045 0.471 0.253 1
O7 O 0.850 0.859 0.413 1
O8 O 0.519 0.958 0.744 1
O9 O 0.955 0.529 0.747 1
O10 O 0.150 0.141 0.587 1
O11 O 0.290 0.861 0.413 1
Mn2 Mn 0.000 0.000 0.500 1
Fe2 Fe 0.000 0.500 0.000 1
O12 O 0.200 0.175 0.082 1
O13 O 0.481 0.042 0.256 1
O14 O 0.998 0.007 0.265 1
O15 O 0.629 0.193 0.079 1
O16 O 0.664 0.673 0.599 1
Fe3 Fe 0.833 0.333 0.667 1
Fe4 Fe 0.167 0.667 0.333 1
O17 O 0.371 0.807 0.921 1
O18 O 0.659 0.666 0.069 1
Mn3 Mn 0.333 0.834 0.666 1
O19 O 0.710 0.139 0.587 1
O20 O 0.002 0.993 0.735 1
Mn4 Mn 0.832 0.834 0.667 1
Mn5 Mn 0.663 0.668 0.833 1
Mn6 Mn 0.168 0.166 0.333 1
Mn7 Mn 0.337 0.332 0.167 1
O21 O 0.486 0.472 0.254 1
O22 O 0.514 0.528 0.746 1
O23 O 0.336 0.327 0.401 1
O24 O 0.198 0.620 0.081 1
Mn8 Mn 0.500 0.500 0.000 1
# Crystal system = triclinic

two:
# Mn2FeO6 PBE+U optimized geometry
data_Mn2FeO6
_symmetry_space_group_name_H-M 'P 1'
_symmetry_Int_Tables_number 1
_symmetry_space_group_name_Hall 'P 1'
_cell_length_a 6.521
_cell_length_b 6.521
_cell_length_c 5.775
_cell_angle_alpha 79.08
_cell_angle_beta 79.08
_cell_angle_gamma 26.15
loop_
_atom_site_label
_atom_site_type_symbol
_atom_site_fract_x
_atom_site_fract_y
_atom_site_fract_z
_atom_site_occupancy
O1 O 0.988 0.988 0.231 1
Mn1 Mn 0.832 0.832 0.335 1
O2 O 0.323 0.323 0.559 1
O3 O 0.660 0.660 0.886 1
O4 O 0.340 0.340 0.114 1
O5 O 0.677 0.677 0.441 1
Fe1 Fe 0.500 0.500 0.000 1
O6 O 0.012 0.012 0.769 1
Mn2 Mn 0.168 0.168 0.665 1
# Crystal system = monoclinic

Quick ranking, most stable first: two, one.

one:
# MnFeP2O8 PBE+U optimized geometry
data_MnFeP2O8
_symmetry_space_group_name_H-M 'P 1'
_symmetry_Int_Tables_number 1
_symmetry_space_group_name_Hall 'P 1'
_cell_length_a 8.500
_cell_length_b 8.603
_cell_length_c 8.603
_cell_angle_alpha 60.00
_cell_angle_beta 59.60
_cell_angle_gamma 59.60
loop_
_atom_site_label
_atom_site_type_symbol
_atom_site_fract_x
_atom_site_fract_y
_atom_site_fract_z
_atom_site_occupancy
Mn1 Mn 0.927 0.358 0.358 1
O1 O 0.060 0.312 0.512 1
O2 O 0.730 0.444 0.238 1
O3 O 0.939 0.681 0.497 1
P1 P 0.245 0.251 0.546 1
Fe1 Fe 0.502 0.499 0.499 1
O4 O 0.730 0.238 0.588 1
O5 O 0.431 0.186 0.389 1
O6 O 0.060 0.116 0.312 1
P2 P 0.245 0.546 0.958 1
P3 P 0.755 0.039 0.749 1
P4 P 0.755 0.457 0.039 1
O7 O 0.568 0.006 0.817 1
O8 O 0.431 0.389 0.994 1
O9 O 0.218 0.941 0.092 1
O10 O 0.060 0.512 0.116 1
P5 P 0.755 0.749 0.457 1
O11 O 0.218 0.092 0.748 1
........

4. Develop and standardise neurodiversity accommodations

Small changes can make a really big difference to neurodiverse people in the workplace.

Those might include simply allowing neurodiverse colleagues to wear headphones or move locations if background noise is a sensory issue for them. It could look like investing in voice recording technology for a dyslexic colleague, or organisational tools or apps for those who struggle with executive functioning. It might also mean giving people extra time for proof-reading, or extra support for planning tasks, changing the format of meetings or the phrasing of instructions, or letting people sit, stand or use fidget toys to help them focus.

In recruitment, neurodiverse people might need to see interview questions in advance, might require extra time for written tasks, and might need to be able to move around during the process.

5. Provide mental health support systems

There is a clear link between neurodiversity and mental health. Trying to fit into a world that isn’t set up for you is hard work, and can cause significant stress. But that stress may not show itself in the same way as it does for neurotypical people.

Part of supporting neurodiversity in your workplace has to be supporting mental health. Make sure your health and wellbeing benefits are well-known and well-advertised, and encourage line managers to signpost to your Employee Assistance Programme, or mental-health first aiders.

With Equipsme, 24/7 GP access can provide a lifeline for anyone struggling with their physical or mental health. And if you have included our Stress Support EAP service in your Equipsme plan, it provides not only a helpline, but access to a number of face-to-face counselling sessions for employees if they’re required.


(4) (5) (6) (7) (8) : Axa Health
(2) : adhd.co.uk
(3) : autism.org.uk
(9) : peoplemanagement.co.uk
(10) (11) : venturewales.org
(12) (13) (14) : reba.global

Other resources:


Created: April 2024
Word count: 884